Executive summary
The availability, accessibility and affordability of high quality childcare facilities are crucial for enabling women, and men, with caring responsibilities, to participate in the labour market . High quality early childhood education and care is also an important tool to tackle possible social disadvantages of children and is good for the cognitive and social development of children from an early age .
As far back as 2002, the Barcelona European Council recognised this situation and set objectives with regard to the availability of high quality and affordable childcare facilities for pre-school children, through two targets, i.e. 90 % of children from age 3 until mandatory school age and 33 % of children under 3.
The aim of this report is to assess, as part of the implementation of the Commission's Communication supporting work-life balance for working parents and carers, to what extent Member States have progressed towards implementing the Barcelona objectives since the last report in 2013.
-- Between two parts of the entry: data records --
-- begin --
(1)
# MnNi4H6 | the Alexandria database | PBE | relaxed
# Final energy = -211.15 eV per cell
data_MnNi4H6
_space_group_name_H-M_alt 'C m c m'
_space_group_IT_number 63
_space_group_name_Hall '-C 2c 2'
_cell_length_a 2.6589
_cell_length_b 8.7430
_cell_length_c 12.2818
_cell_angle_alpha 90.00
_cell_angle_beta 90.00
_cell_angle_gamma 90.00
loop_
_atom_site_label
_atom_site_type_symbol
_atom_site_fract_x
_atom_site_fract_y
_atom_site_fract_z
Mn1 Mn 0.0000 0.1729 0.2500
Ni1 Ni 0.0000 0.0899 0.6345
Ni2 Ni 0.0000 0.3613 0.5506
H1 H 0.0000 0.0000 0.0000
H2 H 0.0000 0.1842 0.7500
H3 H 0.0000 0.2761 0.0856
H4 H 0.0000 0.4636 0.6658

(2)
# MnNi3H | the Alexandria database | PBE | relaxed
# Final energy = -173.32 eV per cell
data_MnNi3H
_space_group_name_H-M_alt 'R -3'
_space_group_IT_number 148
_space_group_name_Hall '-R 3'
_cell_length_a 4.2628
_cell_length_b 4.2628
_cell_length_c 18.5000
_cell_angle_alpha 90.00
_cell_angle_beta 90.00
_cell_angle_gamma 120.00
loop_
_atom_site_label
_atom_site_type_symbol
_atom_site_fract_x
_atom_site_fract_y
_atom_site_fract_z
Mn1 Mn 0.0000 0.0000 0.1672
Ni1 Ni 0.0003 0.3367 0.7270
H1 H 0.0000 0.0000 0.3337

(3)
# MnNi6H8 | the Alexandria database | PBE | relaxed
# Final energy = -277.07 eV per cell
data_MnNi6H8
_space_group_name_H-M_alt 'F m -3 m'
_space_group_IT_number 225
_space_group_name_Hall '-F 4 2 3'
_cell_length_a 7.7783
_cell_length_b 7.7783
_cell_length_c 7.7783
_cell_angle_alpha 90.00
_cell_angle_beta 90.00
_cell_angle_gamma 90.00
loop_
_atom_site_label
_atom_site_type_symbol
_atom_site_fract_x
_atom_site_fract_y
_atom_site_fract_z
Mn1 Mn 0.0000 0.0000 0.0000
Ni1 Ni 0.0000 0.2500 0.2500
H1 H 0.1380 0.1380 0.1380

(4)
# MnNi3H | the Alexandria database | PBE | relaxed
# Final energy = -58.83 eV per cell
data_MnNi3H
_space_group_name_H-M_alt 'P 63/m m c'
_space_group_IT_number 194
_space_group_name_Hall '-P 6c 2c'
_cell_length_a 2.6946
_cell_length_b 2.6946
_cell_length_c 16.0346
_cell_angle_alpha 90.00
_cell_angle_beta 90.00
_cell_angle_gamma 120.00
loop_
_atom_site_label
_atom_site_type_symbol
_atom_site_fract_x
_atom_site_fract_y
_atom_site_fract_z
Mn1 Mn 0.0000 0.0000 0.0000
Ni1 Ni 0.0000 0.0000 0.2500
Ni2 Ni 0.3333 0.6667 0.1207
H1 H 0.3333 0.6667 0.2500

=====

# LiFeSbO4 GGA+U relaxed
data_LiFeSbO4
_chemical_formula_sum 'Li4 Fe4 Sb4 O16'
_symmetry_space_group_name_H-M 'P 43 2 2'
_symmetry_Int_Tables_number 95
_symmetry_space_group_name_Hall 'P 4cw 2c'
_cell_length_a 6.2237
_cell_length_b 6.2237
_cell_length_c 8.5815
_cell_angle_alpha 90.00
_cell_angle_beta 90.00
_cell_angle_gamma 90.00
loop_
_atom_site_label
_atom_site_type_symbol
_atom_site_fract_x
_atom_site_fract_y
_atom_site_fract_z
Li1 Li 0.0000 0.2157 0.0000
Fe1 Fe 0.2413 0.2413 0.6250
Sb1 Sb 0.2351 0.5000 0.2500
O1 O 0.0272 0.2651 0.2527
O2 O 0.2713 0.4790 0.0141
# total energy	-0.4498	Ry per atom
# energy relative to the lowest polymorph listed for this composition	0.3	kJ per mole of atoms

=====
-- stop --
All in all, the Barcelona target has been generally reached for children under the age of 3 for the EU28, covering 32.9% of children in the EU, even if important differences persist among Member States.
The target of 33 % has largely been reached in 12 Member States according to the most recent data of 2016, while in 7 EU Member States out of 12 between 33 % and 49 % of children have access to childcare and in 5 EU Member States 50 % or more of children have access to childcare. In remaining 16 Member States, less than 33% of children have access to childcare, with 10 Member States where less than 25 % of children in the smallest age group participate in childcare.
The Barcelona target has not yet been reached for children from 3 to mandatory school-going age. As of 2016, 86.3 % of children from 3 to the mandatory school-going age participate in formal childcare or attend preschool. The Barcelona target has been reached in 12 Member States and all the rest of 16 Member States have not yet reached the target.
Availability and use of childcare is influenced by several factors:namely legal entitlement to childcare, accessibilitby and quality. Also the adaptability of the services to the needs of parents, including distance to the childcare facilities and opening hours adapted to working patterns and needs, plays an important role.
As caring responsiblities are the main reason for low female labour market participation, counting to 370 billion euro a year of loss for Europe, the Barcelona objectives, adopted by the European Council in 2002, are still of crucial importance in 2018.